Actor Nakuul Mehta urges men to be allies to women

New Delhi, Jan 28 (IANSlife) Popular television actor Nakuul Mehta has pledged his support to a campaign that encourages men not to be "silent spectators to violations of women safety and be an ally in this demand for safety".

Mehta recently featured in a video promoting the importance of a woman's consent, and was also seen in a Instagram Live session, offering his support to #AllyUpForHer, a campaign jointly run by child rights NGO Save the Children and Yuvaa on

"Standing up for respect and safety of women is something that must come naturally to any man.

For years, we have been speaking about treating women as equals, but unfortunately the balance has been tilted for far too long and the struggle to stand up for fundamental rights such as safety has been a single-handed battle fought only by women.

## Misplaced data records
┌──
DFT (GGA-PBE) results for crystalline KHoSO at its relaxed geometry.

The structure in POSCAR format:
```
KHoSO
1.0
-2.430 2.560 -6.651
-1.380 -6.830 -2.125
-5.212 -0.098 3.702
S O Ho K
4 4 4 4
Direct
0.749 0.591 0.655
0.749 0.909 0.155
0.251 0.091 0.845
0.251 0.409 0.345
0.392 0.647 0.877
0.608 0.147 0.623
0.392 0.853 0.377
0.608 0.353 0.123
0.526 0.873 0.730
0.474 0.373 0.770
0.474 0.127 0.270
0.526 0.627 0.230
0.083 0.746 0.011
0.083 0.754 0.511
0.917 0.246 0.489
0.917 0.254 0.989
```

Values from the calculation:
* magnetization: 0.00 μB/f.u.
* energy above the most stable polymorph in this dataset: 0.0 meV per atom

=====

i.
A geometry-optimized Be2HPd structure. Source: the Alexandria database, functional PBE.

a = 3.7870 Å, b = 3.7870 Å, c = 3.7870 Å
α = 60.00°, β = 60.00°, γ = 60.00°
With the nearest neighbours (Å) after each atom.
Fractional positions:
1 Be 0.2500 0.2500 0.2500  4 Pd 2.32, 4 H 2.32
2 Be 0.7500 0.7500 0.7500  4 Pd 2.32, 4 H 2.32
3 Pd 0.5000 0.5000 0.5000  8 Be 2.32
4 H 0.0000 0.0000 0.0000  8 Be 2.32

=====

ii.
A geometry-optimized Be2HPd structure. Source: the Alexandria database, functional PBE.

a = 3.6976 Å, b = 3.6976 Å, c = 4.9246 Å
α = 67.95°, β = 67.95°, γ = 60.00°
With the nearest neighbours (Å) after each atom.
Fractional positions:
1 Be 0.1072 0.1072 0.6783  1 H 1.43
2 Be 0.8928 0.8928 0.3217  1 H 1.43
3 Pd 0.5000 0.5000 0.5000  6 Be 2.28
4 H 0.0000 0.0000 0.0000  2 Be 1.43

=====

iii.
A geometry-optimized Be2HPd structure. Source: the Alexandria database, functional PBE.

a = 4.7725 Å, b = 4.7725 Å, c = 4.5520 Å
α = 58.38°, β = 58.38°, γ = 90.00°
With the nearest neighbours (Å) after each atom.
Fractional positions:
1 Be 0.4653 0.1250 0.2500  2 H 1.48
2 Be 0.2847 0.6250 0.2500  2 H 1.48
3 Be 0.3750 0.5347 0.7500  2 H 1.48
4 Be 0.8750 0.7153 0.7500  2 H 1.48
5 Pd 0.0000 0.0000 0.0000  8 Be 2.41-2.62
6 Pd 0.7500 0.2500 0.5000  8 Be 2.41-2.62
7 H 0.5000 0.5000 0.0000  4 Be 1.48
8 H 0.2500 0.7500 0.5000  4 Be 1.48

=====

iv.
A geometry-optimized Be2HPd structure. Source: the Alexandria database, functional PBE.

a = 2.6415 Å, b = 2.6415 Å, c = 5.3581 Å
α = 90.00°, β = 90.00°, γ = 90.00°
With the nearest neighbours (Å) after each atom.
Fractional positions:
1 Be 0.0000 0.0000 0.7128  4 H 2.19, 1 Be 2.28, 4 Pd 2.42
2 Be 0.0000 0.0000 0.2872  4 H 2.19, 1 Be 2.28, 4 Pd 2.42
3 Pd 0.5000 0.5000 0.0000  8 Be 2.42, 4 Pd 2.64, 2 H 2.68
4 H 0.5000 0.5000 0.5000  8 Be 2.19

=====

Which structure is the most stable? The one labeled iii.

=====

i.
A geometry-optimized BeHPd3 structure. Source: the Alexandria database, functional PBE.

a = 2.8817 Å, b = 5.7336 Å, c = 7.0486 Å
α = 88.59°, β = 90.27°, γ = 104.34°
With the nearest neighbours (Å) after each atom.
Fractional positions:
1 Be 0.4213 0.8719 0.2554  7 Pd 2.29-2.39, 1 Be 2.35
2 Be 0.6229 0.2822 0.1661  7 Pd 2.29-2.39, 1 Be 2.35
3 H 0.1752 0.4061 0.5891  3 Pd 1.83-1.98
4 H 0.8685 0.7480 0.8324  3 Pd 1.83-1.98
5 Pd 0.0518 0.1341 0.4129  1 H 1.98
└──
## So much for the data records

It is time that we as men are at the forefront of this conversation and shoulder this responsibility to ensure that women don't feel insecure in the presence or absence of a man.

== These records of crystals were left in the piece by mistake ==
┌──
The following is a DFT calculation (GGA-PBE) of a relaxed CaLa2Si crystal.

As for the uncorrected energy: -4.59 eV per atom. The calculated volume is 32.39 Å³/atom.

The space group is P4/mmm (No. 123) and the conventional cell measures 3.947, 3.947 and 8.317 Å, with angles of 90.00, 90.00 and 90.00 degrees. The distinct sites, in fractional coordinates, are Ca at (0.000, 0.000, 0.000), La at (0.500, 0.500, 0.322) and Si at (0.000, 0.000, 0.500).

***

The following is a DFT calculation (GGA-PBE) of a relaxed CaLaSi3 crystal.

As for the uncorrected energy: -5.25 eV per atom. Its offset from the most stable computed form is 0 meV per atom. The calculated volume is 22.38 Å³/atom.

The space group is Cmcm (No. 63) and the conventional cell measures 4.492, 25.007 and 3.984 Å, with angles of 90.00, 90.00 and 90.00 degrees. The distinct sites, in fractional coordinates, are Ca at (0.000, 0.203, 0.250), La at (0.000, 0.071, 0.750), Si at (0.000, 0.326, 0.250), Si at (0.000, 0.381, 0.750) and Si at (0.000, 0.476, 0.750).

***

The following is a DFT calculation (GGA-PBE) of a relaxed CaLa2Si crystal.

As for the uncorrected energy: -4.48 eV per atom. The calculated volume is 28.41 Å³/atom.

The space group is I4/mmm (No. 139) and the conventional cell measures 4.780, 4.780 and 9.946 Å, with angles of 90.00, 90.00 and 90.00 degrees. The distinct sites, in fractional coordinates, are Ca at (0.000, 0.000, 0.000), La at (0.000, 0.500, 0.250) and Si at (0.000, 0.000, 0.500).

***

The following is a DFT calculation (GGA-PBE) of a relaxed CaLa2Si crystal.

As for the uncorrected energy: -4.54 eV per atom. The calculated volume is 30.87 Å³/atom.

The space group is Immm (No. 71) and the conventional cell measures 4.077, 5.241 and 11.560 Å, with angles of 90.00, 90.00 and 90.00 degrees. The distinct sites, in fractional coordinates, are Ca at (0.000, 0.000, 0.000), La at (0.000, 0.500, 0.201) and Si at (0.000, 0.000, 0.500).

***

The following is a DFT calculation (GGA-PBE) of a relaxed Ca2LaSi6 crystal.

As for the uncorrected energy: -5.02 eV per atom. The calculated volume is 20.98 Å³/atom.

The space group is P6/mmm (No. 191) and the conventional cell measures 7.0864, 7.0864 and 4.3418 Å, with angles of 90.00, 90.00 and 120.00 degrees. The distinct sites, in fractional coordinates, are Ca at (0.3333, 0.6667, 0.0000), La at (0.0000, 0.0000, 0.0000) and Si at (0.0000, 0.3342, 0.5000).

***

The following is a DFT calculation (GGA-PBE) of a relaxed CaLa2Si crystal.

As for the uncorrected energy: -4.25 eV per atom. The calculated volume is 28.18 Å³/atom.

The space group is F-43m (No. 216) and the conventional cell measures 7.668, 7.668 and 7.668 Å, with angles of 90.00, 90.00 and 90.00 degrees. The distinct sites, in fractional coordinates, are Ca at (0.000, 0.000, 0.000), La at (0.000, 0.000, 0.500), La at (0.250, 0.250, 0.750) and Si at (0.250, 0.250, 0.250).

***
└──

As men, we need to give a fillip to this movement and lead by example."

According to Nikhil Taneja, Co-Founder and CEO of Yuvaa, allyship comes out of compassion and this allyship is about listening to and understanding women.

"If women feel consent is a concept that is poorly understood by men, then it is our responsibility to ensure that behaviour change happens within us."

"When we speak about safe spaces, it cannot be made safe if we don't talk about the role of everyone.

That's why men need to see that their participation and allyship is extremely important. It is time, men must stop being mute spectators when women are being abused and assaulted - be it online or offline as this only slows down our fight for justice.

It is a reality that our behaviours are ultimately influenced by the popular culture and content we consume.

**What comes next are calculated crystals, not part of the text**
1.
# ThAgPd6 | the Alexandria database | PBE | relaxed
# Fermi-level density of states = 6.8 states/eV/cell
# Energy of formation = -48.63 kJ per mole of atoms
# E_tot = -5.683 eV/atom
data_ThAgPd6
_chemical_formula_sum 'Th1 Ag1 Pd6'
_cell_length_a 4.179
_cell_length_b 4.179
_cell_length_c 7.989
_cell_angle_alpha 90.00
_cell_angle_beta 90.00
_cell_angle_gamma 90.00
_space_group_name_H-M_alt 'P 4/m m m'
_space_group_IT_number 123
_space_group_name_Hall '-P 4 2'
loop_
_atom_site_label
_atom_site_type_symbol
_atom_site_fract_x
_atom_site_fract_y
_atom_site_fract_z
Th1 Th 0.000 0.000 0.000
Ag1 Ag 0.000 0.000 0.500
Pd1 Pd 0.000 0.500 0.257
Pd2 Pd 0.500 0.500 0.000
Pd3 Pd 0.500 0.500 0.500

=====

2.
# Zr2TiBr5 | the Alexandria database | PBE | relaxed
# Raw formation energy = -0.91 eV per atom
# Fermi-level density of states = 6.3 states/eV/cell
# E_tot = -5.078 eV/atom
data_Zr2TiBr5
_chemical_formula_sum 'Zr2 Ti1 Br5'
_cell_length_a 5.600
_cell_length_b 5.866
_cell_length_c 8.147
_cell_angle_alpha 100.16
_cell_angle_beta 97.29
_cell_angle_gamma 103.64
_space_group_name_H-M_alt 'P 1'
_space_group_IT_number 1
_space_group_name_Hall 'P 1'
loop_
_atom_site_label
_atom_site_type_symbol
_atom_site_fract_x
_atom_site_fract_y
_atom_site_fract_z
Zr1 Zr 0.000 0.000 0.000
Zr2 Zr 0.419 0.608 0.000
Ti1 Ti 0.915 0.531 0.000
Br1 Br 0.069 0.271 0.747
Br2 Br 0.200 0.424 0.253
Br3 Br 0.530 0.120 0.000
Br4 Br 0.681 0.661 0.734
Br5 Br 0.819 0.823 0.266

=====

3.
# AlIrRh | the Alexandria database | PBE | relaxed
# Fermi-level density of states = 7.7 states/eV/cell
# Energy of formation = -46.52 kJ per mole of atoms
# E_tot = -7.134 eV/atom
# Energy above the most stable polymorph in this dataset = 58 meV per atom
data_AlIrRh
_chemical_formula_sum 'Al4 Ir4 Rh4'
_cell_length_a 4.110
_cell_length_b 7.922
_cell_length_c 5.272
_cell_angle_alpha 90.00
_cell_angle_beta 90.00
_cell_angle_gamma 90.00
_space_group_name_H-M_alt 'C m c m'
_space_group_IT_number 63
_space_group_name_Hall '-C 2c 2'
loop_
_atom_site_label
_atom_site_type_symbol
_atom_site_fract_x
_atom_site_fract_y
_atom_site_fract_z
Al1 Al 0.000 0.136 0.250
Ir1 Ir 0.000 0.184 0.750
Rh1 Rh 0.000 0.500 0.000

=====

4.
# Ba2LaHg | the Alexandria database | PBE | relaxed
# Fermi-level density of states = 13.8 states/eV/cell
# Energy of formation = 0.83 kJ per mole of atoms
# E_tot = -2.260 eV/atom
data_Ba2LaHg
_chemical_formula_sum 'Ba4 La2 Hg2'
_cell_length_a 5.201
_cell_length_b 5.201
_cell_length_c 11.551
_cell_angle_alpha 90.00
_cell_angle_beta 90.00
_cell_angle_gamma 90.00
_space_group_name_H-M_alt 'I 4/m m m'
_space_group_IT_number 139
_space_group_name_Hall '-I 4 2'
loop_
_atom_site_label
_atom_site_type_symbol
_atom_site_fract_x
_atom_site_fract_y
_atom_site_fract_z
Ba1 Ba 0.000 0.500 0.250
La1 La 0.000 0.000 0.000
Hg1 Hg 0.000 0.000 0.500

=====

5.
# HoUPa | the Alexandria database | PBE | relaxed
# Fermi-level density of states = 28.3 states/eV/cell
# Energy of formation = 31.17 kJ per mole of atoms

And when we speak of men's allyship, the role of influencers and public figure plays a huge role in modeling public behavior and action," adds Pragya Vats, Head of Campaigns, Save the Children.

The petition also saw support from Badrinath Singh, Nirbhaya's father, earlier who said a permanent change will only come when the collective mindset changes.

"Men must stop being mute spectators while women face abuse online and on the ground," says the campaign.

Recently, on National Day of the Girl on January 24, the partner organisations, in collaboration with a range of other cohorts who joined in this initiative, released a video 'Tum Akeli Nahi' featuring male content creators in a spoken word video.

The petition urges popular OTT (over-the-top) platforms like to create content that promotes and encourages ally ship and bystander intervention.

It aims to catalyse change in mindset and mass media on representation of men and boys, and strives to engage men to partake in voice and action as equal stakeholders.

The petition has garnered about 90,000 signatures so far.

#AllyUpForHer is urging your support in ensuring no girl anywhere must live in fear or pay with her life, said the organisations.(Siddhi Jain can be contacted at



Source: IANS